== Given ==
____________
Entry from Alexandria via LeMat-Bulk: a relaxed MnSbI2O crystal (GGA+U). Values from VASP.

Raw total energy (eV/cell): -20.937
Total magnetization (μB/f.u.): 4.26

Cell and atoms, written as Quantum ESPRESSO input:
```
&SYSTEM
  ibrav = 0, nat = 5, ntyp = 4
/
ATOMIC_SPECIES
O 16.00 O.upf
Sb 121.76 Sb.upf
I 126.90 I.upf
Mn 54.94 Mn.upf
CELL_PARAMETERS angstrom
-4.1878 -4.1385 -0.0613
2.8423 -2.8121 -4.3223
1.9112 -1.9716 2.5395
ATOMIC_POSITIONS crystal
O 0.0000 0.0000 0.5000
Sb 0.5000 0.5000 0.5000
I 0.0000 0.5000 0.0000
I 0.5000 0.0000 0.0000
Mn 0.0000 0.0000 0.0000
```

=====

Below is a crystal of Pd2SeF relaxed with PBEsol, with properties calculated at the SCAN level.

Its total energy is -22.797 eV per atom. The magnetization is 0.00 μB per atom. The value obtained for the uncorrected formation energy is -11.649 kcal/mol of atoms.

abc: 4.2615 4.2615 4.2615
angles: 60.00 60.00 60.00
____________

== Activity ==
It remains to transcribe all of the entries further above without additions.

== Here it is ==
Entry from Alexandria via LeMat-Bulk: a relaxed MnSbI2O crystal (GGA+U). Values from VASP.

Raw total energy (eV/cell): -20.937
Total magnetization (μB/f.u.): 4.26

Cell and atoms, written as Quantum ESPRESSO input:
```
&SYSTEM
  ibrav = 0, nat = 5, ntyp = 4
/
ATOMIC_SPECIES
O 16.00 O.upf
Sb 121.76 Sb.upf
I 126.90 I.upf
Mn 54.94 Mn.upf
CELL_PARAMETERS angstrom
-4.1878 -4.1385 -0.0613
2.8423 -2.8121 -4.3223
1.9112 -1.9716 2.5395
ATOMIC_POSITIONS crystal
O 0.0000 0.0000 0.5000
Sb 0.5000 0.5000 0.5000
I 0.0000 0.5000 0.0000
I 0.5000 0.0000 0.0000
Mn 0.0000 0.0000 0.0000
```

=====

Below is a crystal of Pd2SeF relaxed with PBEsol, with properties calculated at the SCAN level.

Its total energy is -22.797 eV per atom. The magnetization is 0.00 μB per atom. The value obtained for the uncorrected formation energy is -11.649 kcal/mol of atoms.

abc: 4.2615 4.2615 4.2615
angles: 60.00 60.00 60.00